This is the third in a series on why we chose to lease a Nissan Leaf in the fall of 2014. There are several reasons to drive an Electric Vehicle (EV). Any one of them alone is enough to take the plunge.
Electric Vehicles (EVs) are simply cleaner than driving cars powered by fossil fuels, regardless of whether they use gasoline or diesel fuel.
Now there are some, especially here in Bakersfield, the oil capital of California, that find this hard to accept—or worse don’t think it’s very important.
┌──
137
Properties=species:S:1:pos:R:3:mulliken_charge:R:1 method="wB97M-V/def2-TZVPD" energy_ev=-152896.75014 homo_energy_ev="-9.62 / -9.49" s_squared=0.761 gap_ev="7.25 / 7.38" charge=+1 multiplicity=2
Ti 0.128 0.294 0.361 -1.759
S 2.018 1.305 -0.927 -0.006
S 2.288 -1.773 0.452 0.145
S -1.217 1.211 -1.963 -0.517
P 0.787 1.933 2.155 3.062
P -2.403 0.445 0.849 1.703
Si -0.143 -1.142 2.456 1.659
N 1.721 -4.415 -0.246 0.693
N -0.703 -1.263 -2.915 1.002
N -2.222 -0.218 -4.107 1.060
N 1.719 -0.881 -2.508 0.812
N 0.672 -2.864 -1.397 1.051
N 3.574 0.213 -2.915 0.508
C -4.538 3.836 -0.034 -0.564
C 4.832 4.031 1.383 -0.827
C -2.395 1.415 -5.913 -1.742
C 2.436 4.193 1.536 -0.515
C 2.283 -0.411 5.811 -0.957
C 1.581 -3.065 -0.397 -0.138
C -4.700 -2.404 -1.971 -0.768
C -3.465 -2.740 -1.433 -0.509
C 0.844 -5.038 -1.121 -1.153
C -1.314 5.379 2.034 -0.650
C -1.592 5.654 3.366 -0.798
C 2.388 -1.545 -3.514 -0.986
C -5.273 -1.181 -1.660 -0.842
C 3.531 2.085 1.909 -0.246
C 0.992 -0.348 3.761 -0.192
C 3.512 -6.059 -0.425 -1.640
C 2.450 0.192 -2.141 0.050
C 4.409 2.569 -2.873 -1.483
C 2.539 0.951 5.713 -0.964
C -3.736 2.710 -0.146 -0.261
C 3.528 -0.879 -3.764 -0.825
C -4.992 4.247 1.210 -0.859
C -1.011 -2.063 -3.997 -0.875
C -3.360 -0.600 -0.318 1.341
C 2.647 -5.267 0.562 0.984
C 3.584 -4.485 1.478 -1.844
C 1.794 -6.219 1.406 -1.377
C -2.268 -1.456 4.441 -0.303
C -4.243 -0.519 2.737 -0.088
C -3.383 1.983 0.992 0.529
C -4.605 3.557 2.348 -0.635
C -3.599 -1.537 4.810 -0.939
C -0.589 3.568 4.021 -1.064
C -0.281 3.304 2.692 0.643
C 3.672 4.781 1.296 -0.757
C 5.753 0.765 -3.893 -2.255
C 1.519 -1.048 4.847 -0.698
C 4.776 1.086 -2.763 1.350
C -3.158 0.742 -4.769 1.145
C -1.252 4.742 4.352 -0.746
C -3.790 2.441 2.246 -0.802
C -2.894 -0.407 2.388 -0.795
C -0.681 4.197 1.694 -0.751
C 0.195 -4.090 -1.815 -0.658
C -1.426 -0.113 -3.007 0.006
C 2.356 2.840 1.841 0.324
C -2.804 -1.848 -0.607 -0.472
C 1.285 1.015 3.655 -0.317
C -3.717 1.803 -3.827 -1.678
C -4.340 -0.065 -5.322 -1.613
C 2.053 1.660 4.628 -0.408
C -1.942 -1.428 -4.725 -1.313
C -4.594 -1.097 3.942 -0.940
C -0.015 -3.040 2.644 -0.959
C 5.430 0.759 -1.421 -1.141
C 4.761 2.682 1.703 -0.675
C -1.893 -0.916 3.207 0.343
C -4.610 -0.280 -0.835 -0.345
B 0.416 -1.437 -1.892 0.627
H 5.793 4.499 1.209 0.416
H -6.252 -0.926 -2.049 0.445
H 4.210 -6.681 0.134 0.466
H -3.869 -1.959 5.770 0.429
H 5.327 3.158 -2.899 0.491
H -3.398 2.378 -1.119 -0.165
H -0.611 -3.536 1.872 0.346
H 6.306 1.392 -1.278 0.504
H 1.071 -5.663 2.001 0.203
H 1.328 -2.112 4.938 0.465
H -4.067 -0.644 -6.204 0.470
H 1.254 -6.939 0.789 0.386
H -2.948 2.492 -3.495 0.393
H 5.667 2.096 1.790 0.494
H -0.296 2.870 4.794 0.495
H 3.047 -3.916 2.231 0.212
H 2.284 2.713 4.520 0.582
H 5.740 -0.287 -1.393 0.378
H -4.821 4.385 -0.924 0.513
H -5.637 -1.201 4.212 0.446
H 4.735 0.934 -0.602 -0.084
H 2.686 -0.973 6.644 0.443
H -1.600 6.086 1.266 0.453
H -0.405 -3.354 3.613 0.913
H -0.531 -3.005 -4.186 0.645
H -3.492 1.910 3.139 0.487
H 4.087 -5.378 -1.054 0.328
└──
For many though, how we produce and use energy is important and especially so in an era of rampant climate change. We need to burn less fossil fuels and those that we do burn we need to burn as efficiently as possible for those uses where it can’t be avoided.
EVs are no environmental panacea. They do nothing to curb suburban sprawl, for example. Nor are they better for the environment than using an electrified train for intercity travel. And, of course, they are quite inferior to walking or cycling to pick up the proverbial loaf of bread.
Nevertheless, if we are to address air pollution and climate change from transit, we are going to have to switch from cars using Internal Combustion Engines to EVs. The sooner, the better.
While EVs don’t have a tail pipe and produce no tail-pipe emissions, they do require electricity and that electricity may be generated by burning fossil fuels. This is sometimes called the Long Tail Pipe.
In most respects EVs are just like conventional cars. They are manufactured the same way, using the same materials. However, they don’t have an engine. They have a large traction battery. With today’s battery technology, the traction batteries are slightly more energy intensive than that of an engine. This contributes slightly to the Long Tail Pipe.
How much total pollutants are emitted powering EVs relative to an ICE burning gasoline or diesel is a function of the power plants used to generate the electricity for the EV.
It’s the Mix, Stupid
It’s not far off the mark to say that there’s less environmental benefit when burning coal to generate electricity for an EV than it is to use renewables instead. Nevertheless, an EV emits less overall air pollutants even when powered by coal than a car powered by an Internal Combustion Engine. See Why We Drive Electric: They’re More Efficient. And an EV also still provides local air quality benefits to prevent ground level smog.
Yet even in states, such as Indiana, that predominantly use coal to generate electricity, coal doesn’t provide all the electricity. There is always a mix of resources used to generate electricity. It’s the mix that’s important in determining the emissions from electricity generation.
There is little or no air pollution from hydro-electricity. Similarly, there’s relatively little air pollution from generating electricity with solar panels or wind turbines.
And specifically in terms of global warming gases or CO2e (or carbon dioxide equivalent), generating electricity with natural gas emits half the carbon of burning coal.
Generating electricity with wind energy, even after accounting for the energy used in the steel, fiberglass, and concrete, emits two orders of magnitude less global warming emissions than using gasoline, diesel, or coal.
Argonne National Laboratory created a detailed input-output model of emissions and energy used in the manufacture and production of various goods, such as the traction batteries in EVs and the electricity that’s used to power them.
The Union of Concerned Scientists (UCS), an advocacy group, used the Argonne model to calculate the mpg equivalent of carbon dioxide emissions for EVs relative to conventional Light Duty Vehicles by region. Their report, Cleaner Cars from Cradle to Grave (2015), updates UCS’ earlier work to include the emissions in the manufacture of EV traction batteries relative to that of conventional vehicles.
Not surprisingly, the manufacture of traction batteries adds only slightly to the total emissions of an EV relative to that of conventional vehicle because of the mass of material in the engine.
For a midsize EV, such as the Nissan Leaf, the manufacture of the traction battery adds only 15% to the total emissions from manufacturing the vehicle relative to that conventional vehicle. For a large EV, such as the Tesla Model S, the traction battery adds about 68% to the emissions from manufacturing the vehicle relative to a large conventional car.
In both cases, though, total lifetime emissions from a conventional vehicle overwhelm any increase in emissions from the traction battery in an EV. The overall emissions from a conventional vehicle are twice that for an EV using the average generating mix in the United States.
But it gets even better. Some regions, such as New York State, the Pacific Northwest, and California use far less fossil fuels than the average. Consequently, the emissions for powering an EV in these regions are far less than that elsewhere. For example, the Pacific Northwest generates nearly two-thirds of its electricity with renewables, New York generates one-third, and California—the laggard—generates 23%.
In terms of total greenhouse gas emission relative to a conventional passenger vehicle, the average EV in California gets the equivalent of 87 mpg, that in the Pacific Northwest 94 mpg, and that in New York State 135 mpg.
Our Nissan Leaf charging here at home in Bakersfield, California gets the equivalent of 97 mpg and emits only 112 grams of greenhouse gases per mile traveled. Our Leaf produces only 29% of the emissions of an average new passenger vehicle, and only 60% of the emissions of a new hybrid.
This is one of the reasons why we drive electric. Our EV produces significantly less total pollution than a conventional vehicle.